the celtic wheel

It all started way back when…

hundreds of years before Christ. The Celts were an ancient society scattered around modern day Europe. Their name, given by The Greeks, means “The Mysterious Ones” because their 3 fundamental tenants seemed strange to the Greeks. They were a matriarchal society, they had great reverence for the earth & they believed in the close proximity of the spirit world.

The Celts were a people very connected with nature. Seems like all of our ancestors were, right? They didn’t have a dial to control the climate in their nice energy efficient house. They couldn’t jump in their car and drive to the grocery store to get asparagus in December. They were naturally more connected with nature because they had no choice. But the Celts had a greater reverence for that connection it seems.

They recognized that they WERE nature, they were a part of it. These days we seem to look at nature as a thing that we appreciate and soak in on the weekends at the state park in our cool hiking shoes and fancy yet understated Prana pants. 

The Celtic Wheel is a way to GET INTO IT, not just walk along it’s surface. 

I remember visiting the Grand Canyon years ago and standing at the rim thinking – yes, this is amazing, but I need to get down IN IT to experience it. I wasn’t feeling anything. It almost felt like I was just looking at a picture until I really got down and dirty in it, communed with it. Not just standing and looking.

Back to those ancient Celts. So they created this calendar that marked 8 seasons in the year. Each season would kick off with a gathering and celebration. Community is important. It was then. It is now. We need more of it. 

They would have rituals to mark the season, traditional foods they pitched in - much like our modern day holidays, but they took it deeper. They had trees they honored each season, animals whose energy represented the energy of the season, they watched the patterns of the sky. They GOT IN IT!

- - -
C25H68AlN2O7 | ωB97M-V/def2-TZVPD

E (eV): -50938.59241
Net charge: -1
LUMO level (eV): 1.96
HOMO level (hartree): -0.157
Orbital gap (Ha): 0.2293

Positions of all 103 atoms, in Å:
C1 1.405 -0.746 -5.138
Al1 -0.597 -0.236 -4.838
N1 -0.729 1.635 -5.412
N2 -1.722 -1.389 -5.890
O1 -0.888 -0.312 -2.979
H1 1.744 -0.184 -6.132
H2 1.519 -1.910 -5.202
H3 2.016 -0.331 -4.230
H4 -1.620 2.025 -5.015
H5 -0.782 1.551 -6.458
H6 -2.625 -1.627 -5.424
H7 -1.938 -0.861 -6.787
H8 -1.860 -0.508 -2.754
C2 3.418 1.054 -0.577
C3 4.448 1.683 -1.499
O2 3.934 2.004 -2.789
C4 2.867 2.948 -2.833
C5 3.242 4.311 -2.279
H9 2.945 0.190 -1.057
H10 3.887 0.727 0.355
H11 2.623 1.761 -0.322
H12 5.259 0.964 -1.658
H13 4.903 2.567 -1.040
H14 1.983 2.546 -2.328
H15 2.597 3.062 -3.886
H16 3.439 4.267 -1.203
H17 2.431 5.027 -2.441
H18 4.150 4.688 -2.762
C6 5.278 8.438 0.204
C7 4.033 7.569 0.249
O3 4.318 6.176 0.343
C8 5.032 5.747 1.499
C9 4.298 6.022 2.800
H19 5.955 8.104 -0.589
H20 5.008 9.483 0.021
H21 5.832 8.395 1.147
H22 3.474 7.710 -0.682
H23 3.365 7.876 1.060
H24 6.035 6.186 1.510
H25 5.168 4.667 1.397
H26 4.212 7.096 2.992
H27 4.832 5.573 3.643
H28 3.283 5.613 2.765
C10 -1.538 -2.938 1.312
C11 -2.208 -4.181 0.753
O4 -3.355 -3.897 -0.043
C12 -3.141 -3.113 -1.214
C13 -2.198 -3.762 -2.212
H29 -2.263 -2.313 1.845
H30 -0.735 -3.213 2.002
H31 -1.102 -2.325 0.517
H32 -2.555 -4.797 1.590
H33 -1.497 -4.795 0.191
H34 -2.798 -2.109 -0.941
H35 -4.119 -2.988 -1.687
H36 -1.180 -3.831 -1.816
H37 -2.158 -3.177 -3.137
H38 -2.527 -4.779 -2.450
C14 8.244 5.248 8.181
C15 7.207 4.464 7.396
O5 6.803 5.107 6.190
C16 7.819 5.331 5.216
C17 8.463 4.053 4.708
H39 7.902 6.274 8.357
H40 8.437 4.769 9.145
H41 9.194 5.310 7.641
H42 6.307 4.362 8.011
H43 7.555 3.447 7.186
H44 8.570 6.026 5.604
H45 7.335 5.836 4.375
H46 9.034 3.551 5.495
H47 9.149 4.271 3.884
H48 7.701 3.349 4.358
C18 -8.078 -4.681 -5.487
C19 -6.896 -4.436 -4.565
O6 -6.479 -3.074 -4.528
C20 -7.434 -2.126 -4.059
C21 -7.880 -2.373 -2.629
H49 -7.875 -4.287 -6.489
H50 -8.287 -5.752 -5.565
H51 -8.983 -4.188 -5.120
H52 -6.041 -5.013 -4.931
H53 -7.103 -4.798 -3.552
H54 -8.291 -2.084 -4.739
H55 -6.950 -1.147 -4.110
H56 -8.447 -3.305 -2.540
H57 -8.521 -1.557 -2.281
H58 -7.014 -2.453 -1.962
C22 -5.280 -5.703 2.068
C23 -6.525 -6.572 2.113
O7 -6.240 -7.966 2.207
C24 -5.526 -8.394 3.363
C25 -6.259 -8.119 4.664
H59 -4.603 -6.038 1.275
H60 -5.550 -4.659 1.885
H61 -4.726 -5.746 3.011
H62 -7.083 -6.432 1.182
H63 -7.193 -6.265 2.924
H64 -4.523 -7.955 3.374
H65 -5.389 -9.474 3.261
H66 -6.346 -7.045 4.856
H67 -5.725 -8.568 5.507
H68 -7.274 -8.528 4.629
- - -

Following the Celtic Wheel allows you to connect deeper with the natural world and recognize how what you observe there is also showing up inside of you. Because we’re all connected, right? It helps you to be more intentional about how you’re living. It brings a deeper awareness. It helps you to feel more grounded in something bigger than yourself. 

Each celebration on the wheel offers an opportunity to pause, reflect, connect, celebrate, and set intentions for the coming weeks.

I’ve been following the Celtic Wheel for a few years now and hosting gatherings for the festivals. It has deepened my connection with…well…everything really. I’m more aware of my inner energies (going slower to restore in the winter months), the plants that are just now beginning to bloom, the changing angle of the sun throughout the year, the various critters in my neighborhood and how they live. It delights me to watch our front porch chipmunk!

It has expanded me. It has rooted me. I have a feeling of being a part of this community of nature. 

It’s easy to feel isolated and alone in our modern society. If you’re craving connection and community, the Celtic Wheel is a beautiful antidote.

-- The page is interrupted by quantum chemistry results --
********
C20H47EuNO4P3 | wB97M-V/def2-TZVPD

Computed properties:
highest occupied orbital energy (spin up / spin down): -0.459 / -0.489 Eh
total energy: -78353.1148 eV
⟨S²⟩: 12.037
HOMO-LUMO gap (spin up / spin down): 5.9 / 4.0 eV
energy relative to the best compared isomer or geometry (same formula, charge and spin): 9.314 eV

Geometry as ORCA input:
```
! wB97M-V def2-TZVPD RIJCOSX def2/J DEFGRID3
* xyz 2 7
Eu 0.287 0.177 -0.331
P -0.091 -1.944 -1.884
P 0.263 2.827 0.118
N 1.384 0.916 -2.435
C 1.526 -1.560 -2.687
H 2.186 -2.407 -2.444
H 1.292 -1.586 -3.764
C 2.274 -0.231 -2.394
H 2.827 -0.289 -1.424
H 3.018 -0.030 -3.182
C 1.855 2.293 -2.225
H 1.181 2.935 -2.820
H 2.878 2.310 -2.636
C 1.868 2.783 -0.734
H 2.163 3.840 -0.701
H 2.599 2.197 -0.141
C 0.369 3.031 1.929
C 0.567 1.779 2.789
H 1.577 1.354 2.734
H -0.149 0.973 2.528
H 0.328 2.048 3.821
C -0.939 3.838 -0.741
C -2.375 3.593 -0.238
H -3.050 3.653 -1.098
H -2.657 4.374 0.477
H -2.534 2.595 0.213
C -1.423 -2.147 -3.052
C -2.602 -2.764 -2.317
H -3.467 -2.653 -2.973
H -2.840 -2.280 -1.357
H -2.409 -3.833 -2.164
C 0.209 -3.271 -0.657
C -0.911 -3.447 0.374
H -0.517 -4.101 1.158
H -1.816 -3.875 -0.068
H -1.213 -2.511 0.891
C -1.914 -0.035 0.479
C -0.388 5.244 -0.519
H 0.451 5.311 0.200
H -0.037 5.647 -1.475
H -1.208 5.876 -0.171
C -0.729 -3.002 -4.099
H -1.408 -3.824 -4.332
H -0.513 -2.403 -4.988
H 0.228 -3.451 -3.770
C 0.439 -4.476 -1.541
H 0.661 -5.313 -0.875
H -0.458 -4.721 -2.127
H 1.302 -4.336 -2.206
C -0.868 3.828 2.307
H -1.795 3.257 2.131
H -0.791 4.049 3.370
H -0.904 4.767 1.743
H 1.305 3.617 1.912
H 1.136 -2.963 -0.133
H -0.865 3.525 -1.794
H -1.657 -1.130 -3.416
O -2.964 -0.154 0.904
H 0.590 0.842 -3.078
H -1.395 0.949 -1.736
C -2.048 -0.396 3.514
O -1.338 -1.382 2.687
P 0.268 -1.280 2.165
O 1.014 -1.948 3.476
C 1.167 -1.059 4.603
O 2.058 -1.001 1.403
C 2.841 -2.164 1.712
H -3.091 -0.766 3.451
H -1.647 -0.461 4.550
H -1.898 0.650 3.129
H 2.161 -0.627 4.491
H 0.406 -0.246 4.631
H 1.077 -1.656 5.530
H 3.649 -2.176 0.960
H 3.264 -2.084 2.729
H 2.237 -3.099 1.619
*
```

These are the Löwdin partial charges, in e, on atoms 1 to 8:
1. Eu 1.39
2. P 0.88
3. P 0.88
4. N -0.24
5. C -0.28
6. H 0.10
7. H 0.09
8. C -0.27

***

C17H16N4OS2 | wB97M-V/def2-TZVPD

Computed properties:
highest occupied orbital energy: -0.301 Eh
total energy: -47567.4836 eV
HOMO-LUMO gap: 8.5 eV
energy relative to the best compared isomer or geometry (same formula, charge and spin): 0.052 eV

Geometry as ORCA input:
```
! wB97M-V def2-TZVPD RIJCOSX def2/J DEFGRID3
* xyz 0 1
O -0.867 -0.668 1.902
C -1.079 0.339 1.260
C -0.153 1.536 1.425
S 0.864 1.810 -0.076
C 2.315 0.989 0.391
N 2.549 0.528 1.605
N 3.783 0.012 1.506
C 4.249 0.183 0.245
C 5.536 -0.226 -0.218
C 6.053 -0.054 -1.474
C 7.359 -0.562 -1.598
C 7.822 -1.112 -0.444
S 6.673 -1.025 0.827
N 3.330 0.802 -0.477
N -2.118 0.482 0.387
C -2.420 1.793 -0.180
C -3.667 1.786 -1.052
C -4.786 1.077 -0.295
C -4.344 -0.346 -0.136
C -5.211 -1.406 -0.343
C -4.763 -2.713 -0.289
********

If you’d like to dive into the Celtic Wheel, I can help you through 1:1 coaching. I can also recommend some great books if reading is your thing - email me.

Here’s to deeper connection.

Celtic Wheel graphic from: